## Request
Next, print everything further below exactly.

## Input
~~~
[1]
Below is the molecule H2O4S2, with properties calculated with ωB97M-V/def2-TZVPD.

```
8
Properties=species:S:1:pos:R:3:lowdin_charge:R:1
O -1.448 1.254 0.983 -0.4352
O 2.185 0.013 -0.261 -0.0473
O 1.101 0.825 -0.692 -0.1695
O -0.029 0.082 -0.790 -0.3759
S -2.603 -1.208 -0.196 0.4552
S -1.266 -0.045 0.483 0.3378
H 2.675 -0.263 -1.137 0.1525
H -0.614 -0.659 1.610 0.0823
```

HOMO level (spin up / spin down) = -0.234 / -0.369 Eh
ΔE to the lowest compared entry with this formula, charge and spin = 99.8 kcal/mol
E = -29881.1673 eV
multiplicity = 3
⟨S²⟩ = 2.010

[2]
Below is a structure of composition C4H9N3O, with properties calculated with ωB97M-V/def2-TZVPD.

```
17
Properties=species:S:1:pos:R:3:lowdin_charge:R:1
C 0.148 -0.398 0.668 -0.5742
C 0.759 -1.562 -0.088 -0.0181
N 0.207 0.916 -0.080 0.0054
C -1.396 -0.532 0.897 -0.2943
C -0.289 0.964 -1.454 -0.2537
O 0.776 -0.189 1.908 0.0166
N -2.099 0.472 0.656 0.0153
N -0.311 2.001 -2.161 0.1273
H 1.706 -0.441 1.855 0.1000
H 1.040 1.467 0.117 0.1591
H -0.871 1.393 0.422 0.1783
H 0.047 2.839 -1.704 0.0588
H -1.650 -1.388 1.543 0.1012
H -0.782 0.060 -1.781 0.1160
H 1.823 -1.395 -0.283 0.0892
H 0.636 -2.459 0.519 0.0935
H 0.256 -1.748 -1.034 0.0797
```

HOMO level = -0.282 Eh
ΔE to the lowest compared entry with this formula, charge and spin = 94.1 kcal/mol
E = -10808.3825 eV

[3]
Below is a cluster of 2 separate species, C5H10O in total, with properties calculated with ωB97M-V/def2-TZVPD.

```
16
Properties=species:S:1:pos:R:3:lowdin_charge:R:1
C 1.688 0.459 -0.848 -0.1000
C 0.719 0.920 0.243 -0.2290
C 0.499 -0.146 1.289 -0.2878
O -0.706 -0.059 2.108 0.0110
C -0.549 -1.190 1.486 0.0230
C -1.952 -0.727 -0.680 -0.0441
H 2.629 0.103 -0.414 0.0759
H 1.928 1.283 -1.527 0.0744
H 1.266 -0.358 -1.441 0.0694
H 1.152 1.783 0.767 0.1146
H -0.222 1.263 -0.194 0.0969
H 1.379 -0.362 1.890 0.1259
H -1.623 -1.420 0.118 -0.0300
H -1.144 -0.539 -1.393 0.0281
H -2.279 0.219 -0.239 0.0412
H -2.785 -1.228 -1.165 0.0305
```

HOMO level = -0.338 Eh
ΔE to the lowest compared entry with this formula, charge and spin = 93.1 kcal/mol
E = -7390.7283 eV

[4]
Below is a cluster of 4 separate species, C5H18O3S in total, with properties calculated with ωB97M-V/def2-TZVPD.

```
27
Properties=species:S:1:pos:R:3:lowdin_charge:R:1
C 2.951 0.227 -1.531 -0.1118
C 1.482 0.344 -1.925 -0.2879
C 0.616 -0.683 -1.208 -0.2864
C -0.866 -0.598 -1.560 -0.4926
S -1.731 0.902 -1.012 0.8075
C -2.350 0.424 0.621 -0.3961
H 3.088 0.312 -0.452 0.0637
H 3.354 -0.739 -1.848 0.0763
H 3.570 0.993 -1.999 0.0697
H 1.375 0.192 -3.004 0.1110
H 1.111 1.356 -1.729 0.0883
H 0.741 -0.624 -0.126 0.0918
H 0.959 -1.678 -1.480 0.1152
H -0.997 -0.634 -2.643 0.0708
H -1.370 -1.459 -1.135 0.0723
H -2.034 -0.585 0.880 0.0170
H -3.434 0.444 0.609 0.0242
H -2.015 1.116 1.395 0.0262
O 0.940 1.780 1.380 -0.0500
H 0.152 1.742 0.812 0.0106
H 1.685 1.782 0.765 0.0495
O 1.037 -0.518 2.960 -0.0692
H 0.841 -0.219 3.856 0.0603
H 1.018 0.301 2.422 0.0046
O -0.775 -2.371 1.912 -0.0837
H -0.410 -3.240 2.096 0.0320
H -0.138 -1.735 2.295 -0.0134
```

HOMO level = -0.318 Eh
structure (SMILES) = CCCCSC.O.O.O
E = -22455.3678 eV

~~~~~

# 1
87
Properties=species:S:1:pos:R:3 method="wB97M-V/def2-TZVPD" relative_energy_kcal_mol=31.5 largest_force_ev_per_a=2.77 lumo_energy_ha=0.01563 orbital_gap_ha=0.3600 total_charge=0 homo_ev=-9.37 e_tot_ha=-1900.801662
C 1.17 -0.22 4.45
C 1.24 -0.50 5.95
O 0.08 -1.17 6.42
O 1.13 -1.35 3.62
H 2.00 0.45 4.17
H 0.24 0.31 4.40
H 1.29 0.51 6.36
H 2.15 -1.04 6.16
H -0.65 -0.61 6.21
H 0.63 -2.07 3.96
C -4.63 -0.47 -4.16
C -3.93 0.59 -3.35
O -2.63 1.01 -3.77
O -3.72 -1.56 -4.30
H -4.98 -0.19 -5.19
H -5.50 -0.76 -3.59
H -3.94 0.06 -2.38
H -4.41 1.56 -3.35
H -2.01 0.27 -3.94
H -3.89 -2.20 -4.97
C -0.73 -2.47 -4.51
C -0.82 -3.96 -4.24
O -2.17 -4.27 -4.08
O -1.35 -1.70 -3.50
H -1.29 -2.33 -5.43
H 0.27 -2.12 -4.65
H -0.28 -4.33 -3.38
H -0.43 -4.47 -5.14
H -2.25 -5.22 -3.89
H -2.28 -1.76 -3.70
C 0.05 -0.15 -0.99
C -0.41 -1.08 0.11
O -0.22 -0.50 1.37
~~~

## Worked solution
[1]
Below is the molecule H2O4S2, with properties calculated with ωB97M-V/def2-TZVPD.

```
8
Properties=species:S:1:pos:R:3:lowdin_charge:R:1
O -1.448 1.254 0.983 -0.4352
O 2.185 0.013 -0.261 -0.0473
O 1.101 0.825 -0.692 -0.1695
O -0.029 0.082 -0.790 -0.3759
S -2.603 -1.208 -0.196 0.4552
S -1.266 -0.045 0.483 0.3378
H 2.675 -0.263 -1.137 0.1525
H -0.614 -0.659 1.610 0.0823
```

HOMO level (spin up / spin down) = -0.234 / -0.369 Eh
ΔE to the lowest compared entry with this formula, charge and spin = 99.8 kcal/mol
E = -29881.1673 eV
multiplicity = 3
⟨S²⟩ = 2.010

[2]
Below is a structure of composition C4H9N3O, with properties calculated with ωB97M-V/def2-TZVPD.

```
17
Properties=species:S:1:pos:R:3:lowdin_charge:R:1
C 0.148 -0.398 0.668 -0.5742
C 0.759 -1.562 -0.088 -0.0181
N 0.207 0.916 -0.080 0.0054
C -1.396 -0.532 0.897 -0.2943
C -0.289 0.964 -1.454 -0.2537
O 0.776 -0.189 1.908 0.0166
N -2.099 0.472 0.656 0.0153
N -0.311 2.001 -2.161 0.1273
H 1.706 -0.441 1.855 0.1000
H 1.040 1.467 0.117 0.1591
H -0.871 1.393 0.422 0.1783
H 0.047 2.839 -1.704 0.0588
H -1.650 -1.388 1.543 0.1012
H -0.782 0.060 -1.781 0.1160
H 1.823 -1.395 -0.283 0.0892
H 0.636 -2.459 0.519 0.0935
H 0.256 -1.748 -1.034 0.0797
```

HOMO level = -0.282 Eh
ΔE to the lowest compared entry with this formula, charge and spin = 94.1 kcal/mol
E = -10808.3825 eV

[3]
Below is a cluster of 2 separate species, C5H10O in total, with properties calculated with ωB97M-V/def2-TZVPD.

```
16
Properties=species:S:1:pos:R:3:lowdin_charge:R:1
C 1.688 0.459 -0.848 -0.1000
C 0.719 0.920 0.243 -0.2290
C 0.499 -0.146 1.289 -0.2878
O -0.706 -0.059 2.108 0.0110
C -0.549 -1.190 1.486 0.0230
C -1.952 -0.727 -0.680 -0.0441
H 2.629 0.103 -0.414 0.0759
H 1.928 1.283 -1.527 0.0744
H 1.266 -0.358 -1.441 0.0694
H 1.152 1.783 0.767 0.1146
H -0.222 1.263 -0.194 0.0969
H 1.379 -0.362 1.890 0.1259
H -1.623 -1.420 0.118 -0.0300
H -1.144 -0.539 -1.393 0.0281
H -2.279 0.219 -0.239 0.0412
H -2.785 -1.228 -1.165 0.0305
```

HOMO level = -0.338 Eh
ΔE to the lowest compared entry with this formula, charge and spin = 93.1 kcal/mol
E = -7390.7283 eV

[4]
Below is a cluster of 4 separate species, C5H18O3S in total, with properties calculated with ωB97M-V/def2-TZVPD.

```
27
Properties=species:S:1:pos:R:3:lowdin_charge:R:1
C 2.951 0.227 -1.531 -0.1118
C 1.482 0.344 -1.925 -0.2879
C 0.616 -0.683 -1.208 -0.2864
C -0.866 -0.598 -1.560 -0.4926
S -1.731 0.902 -1.012 0.8075
C -2.350 0.424 0.621 -0.3961
H 3.088 0.312 -0.452 0.0637
H 3.354 -0.739 -1.848 0.0763
H 3.570 0.993 -1.999 0.0697
H 1.375 0.192 -3.004 0.1110
H 1.111 1.356 -1.729 0.0883
H 0.741 -0.624 -0.126 0.0918
H 0.959 -1.678 -1.480 0.1152
H -0.997 -0.634 -2.643 0.0708
H -1.370 -1.459 -1.135 0.0723
H -2.034 -0.585 0.880 0.0170
H -3.434 0.444 0.609 0.0242
H -2.015 1.116 1.395 0.0262
O 0.940 1.780 1.380 -0.0500
H 0.152 1.742 0.812 0.0106
H 1.685 1.782 0.765 0.0495
O 1.037 -0.518 2.960 -0.0692
H 0.841 -0.219 3.856 0.0603
H 1.018 0.301 2.422 0.0046
O -0.775 -2.371 1.912 -0.0837
H -0.410 -3.240 2.096 0.0320
H -0.138 -1.735 2.295 -0.0134
```

HOMO level = -0.318 Eh
structure (SMILES) = CCCCSC.O.O.O
E = -22455.3678 eV

~~~~~

# 1
87
Properties=species:S:1:pos:R:3 method="wB97M-V/def2-TZVPD" relative_energy_kcal_mol=31.5 largest_force_ev_per_a=2.77 lumo_energy_ha=0.01563 orbital_gap_ha=0.3600 total_charge=0 homo_ev=-9.37 e_tot_ha=-1900.801662
C 1.17 -0.22 4.45
C 1.24 -0.50 5.95
O 0.08 -1.17 6.42
O 1.13 -1.35 3.62
H 2.00 0.45 4.17
H 0.24 0.31 4.40
H 1.29 0.51 6.36
H 2.15 -1.04 6.16
H -0.65 -0.61 6.21
H 0.63 -2.07 3.96
C -4.63 -0.47 -4.16
C -3.93 0.59 -3.35
O -2.63 1.01 -3.77
O -3.72 -1.56 -4.30
H -4.98 -0.19 -5.19
H -5.50 -0.76 -3.59
H -3.94 0.06 -2.38
H -4.41 1.56 -3.35
H -2.01 0.27 -3.94
H -3.89 -2.20 -4.97
C -0.73 -2.47 -4.51
C -0.82 -3.96 -4.24
O -2.17 -4.27 -4.08
O -1.35 -1.70 -3.50
H -1.29 -2.33 -5.43
H 0.27 -2.12 -4.65
H -0.28 -4.33 -3.38
H -0.43 -4.47 -5.14
H -2.25 -5.22 -3.89
H -2.28 -1.76 -3.70
C 0.05 -0.15 -0.99
C -0.41 -1.08 0.11
O -0.22 -0.50 1.37